Input =
(1)
YTiW2O8: simulated powder diffractogram (Cu Kα (λ = 1.5418 Å)), based on a PBE+U-relaxed structure.

Cell and atoms:
Unit cell a=5.349 b=5.821 c=9.725 alpha=88.92 beta=87.32 gamma=89.45
Space group P-1 (No. 2)
Asymmetric unit:
Y1 0.244 0.159 0.257 x2
Ti1 0.270 0.175 0.770 x2
W1 0.240 0.658 0.003 x2
W2 0.247 0.653 0.498 x2
O1 0.061 0.860 0.146 x2
O2 0.065 0.391 0.615 x2
O3 0.086 0.381 0.102 x2
O4 0.128 0.879 0.619 x2
O5 0.385 0.909 0.867 x2
O6 0.416 0.396 0.881 x2
O7 0.422 0.385 0.402 x2
O8 0.440 0.850 0.356 x2

Top 12 peaks for 2θ from 10° to 90°, sorted by position:
Position (°2θ)	d (Å)	Rel. int.
15.2	5.820	45
18.3	4.856	85
23.6	3.763	67
24.1	3.695	84
28.4	3.139	100
29.0	3.083	92
29.6	3.018	94
29.8	2.998	80
33.5	2.672	71
35.0	2.565	54
35.2	2.546	48
37.0	2.428	40

***

(2)
TiZn2WO6: simulated powder diffractogram (Cu Kα (λ = 1.5418 Å)), based on a PBE+U-relaxed structure.

Cell and atoms:
Unit cell a=5.2433 b=5.2433 c=14.0895 alpha=90.00 beta=90.00 gamma=120.00
Space group R3 (No. 146, hexagonal axes)
Asymmetric unit:
Ti1 0.0000 0.0000 0.0000 x3
Zn1 0.0000 0.0000 0.2695 x3
Zn2 0.0000 0.0000 0.7814 x3
W1 0.0000 0.0000 0.4962 x3
O1 0.0043 0.3729 0.7399 x9
O2 0.0429 0.6887 0.5731 x9

Top 12 peaks for 2θ from 10° to 90°, sorted by position:
Position (°2θ)	d (Å)	Rel. int.
18.9	4.697	23
20.6	4.322	39
23.3	3.817	29
32.2	2.783	100
34.2	2.622	79
39.4	2.289	29
47.7	1.908	40
52.3	1.749	26
56.0	1.642	14
60.0	1.543	35
61.2	1.514	26
69.9	1.345	13

***

(3)
TiZn2WO6: simulated powder diffractogram (Cu Kα (λ = 1.5418 Å)), based on a PBE+U-relaxed structure.

Cell and atoms:
Unit cell a=5.280 b=5.309 c=9.282 alpha=90.00 beta=123.21 gamma=90.00
Space group P2_1/c (No. 14)
Asymmetric unit:
Ti1 0.000 0.000 0.000 x2
Zn1 0.253 0.031 0.747 x4
W1 0.500 0.000 0.500 x2
O1 0.094 0.187 0.431 x4
O2 0.256 0.674 0.434 x4
O3 0.362 0.078 0.245 x4

Top 12 peaks for 2θ from 10° to 90°, sorted by position:
Position (°2θ)	d (Å)	Rel. int.
20.1	4.417	24
20.3	4.383	49
32.9	2.719	100
33.6	2.671	94
33.8	2.654	46
34.0	2.639	46
39.6	2.275	29
46.8	1.941	25
48.7	1.871	42
58.9	1.567	23
59.7	1.548	24
59.9	1.545	30

***

(4)
TmTlW2O8: simulated powder diffractogram (Cu Kα (λ = 1.5418 Å)), based on a PBE+U-relaxed structure.

Cell and atoms:
Unit cell a=10.927 b=10.565 c=7.460 alpha=90.00 beta=130.37 gamma=90.00
Space group C2/c (No. 15)
Asymmetric unit:
Tm1 0.000 0.223 0.250 x4
Tl1 0.000 0.205 0.750 x4
W1 0.196 0.495 0.216 x8
O1 0.018 0.389 0.463 x8
O2 0.131 0.089 0.191 x8
O3 0.188 0.432 0.941 x8
O4 0.213 0.156 0.618 x8

Top 12 peaks for 2θ from 10° to 90°, sorted by position:
Position (°2θ)	d (Å)	Rel. int.
27.3	3.270	100
27.5	3.243	32
28.0	3.188	19
29.3	3.045	99
31.5	2.842	41
33.0	2.715	25
33.4	2.684	21
33.9	2.641	19
47.0	1.935	24
49.2	1.853	18
54.6	1.681	18
55.9	1.644	23

***

(5)
Tl3V5O14: simulated powder diffractogram (Cu Kα (λ = 1.5418 Å)), based on a PBE+U-relaxed structure.

Cell and atoms:
Unit cell a=8.8515 b=8.8515 c=5.3284 alpha=90.00 beta=90.00 gamma=120.00
Space group P31m (No. 157)
Asymmetric unit:
Tl1 0.0000 0.6089 0.0000 x3
V1 0.0000 0.2278 0.5235 x3
V2 0.3333 0.6667 0.5310 x2
O1 0.0000 0.2463 0.2184 x3
O2 0.0000 0.8321 0.5917 x3
O3 0.1691 0.4609 0.6449 x6
O4 0.3333 0.6667 0.2185 x2

Top 12 peaks for 2θ from 10° to 90°, sorted by position:
Position (°2θ)	d (Å)	Rel. int.
20.1	4.426	28
26.2	3.405	100
28.7	3.111	29
30.9	2.897	22
33.6	2.664	14
35.1	2.555	14
39.5	2.283	19
42.5	2.126	18
46.0	1.975	20
46.3	1.961	12
55.0	1.670	12
55.3	1.662	13

***

(6)
TlV3O8: simulated powder diffractogram (Cu Kα (λ = 1.5418 Å)), based on a PBE+U-relaxed structure.

Cell and atoms:
Unit cell a=5.101 b=8.560 c=7.933 alpha=90.00 beta=97.27 gamma=90.00
Space group P2_1/m (No. 11)
Asymmetric unit:
Tl1 0.043 0.250 0.440 x2
V1 0.073 0.250 0.922 x2
V2 0.440 0.554 0.183 x4
O1 0.114 0.600 0.230 x4
O2 0.117 0.750 0.927 x2
O3 0.318 0.087 0.994 x4
O4 0.416 0.250 0.744 x2
O5 0.432 0.565 0.668 x4

Top 12 peaks for 2θ from 10° to 90°, sorted by position:
Position (°2θ)	d (Å)	Rel. int.

Activity =
Count the lines above that contain the word "from" and give the number alone, please.

Result =
6